Poster Haul 2024!
As I was cleaning out my office/ laundry room for the anticipated delivery of our new washer and dryer, I finally got a moment to go through this random pile of posters I picked up a couple months back on my birthday. I wanted to take a minute to do a quick write up about these relics of yesteryear.
All of these posters are promotional posters to be used in comic shops. I picked them up from a used-toy store in town and this was largely a blind purchase as they were rolled and taped up. Ended up paying about 15 bucks for the lot. Not the best given the condition of these posters, but considering the shop wanted 20 for the collection and their overall prices were a bit too high for my taste, I consider it a deal.

I honestly never heard of this crossover but given the glut of Marvel and DC crossovers in the 90’s, I am not shocked. Love the art here, though. It is implied that the art is Dan Jurgens and Alex Ross which is wild.

There’s a tendency to think that the deluge of Batman-related titles is a recent development, but DC was publishing multiple Batman solo titles even as far back as the 90’s.

A lot of these posters have the tagline “The Original Universe” on them. Let me say the nature of comic book multiverses and DC’s love of having them in Crisis had made this tagline have terrible SEO. That said, putting on my detective cap for a moment, I would wager this is a shot at Marvel coming off of Heroes Reborn/Return.

This is the poster I really wish wasn’t as worn out as it was. You could tell a comic shop hung this on their store window for a while given how washed out it looks. Still, I am glad to have this piece of marketing for one of my favorite cartoons.

Now, this is a great poster for the Post-No Man’s Land launch of Batgirl with Cassandra Cain in the lead.

Another miniseries I have never heard of but then again I am not the biggest Gen13 fan. The poster is great though. I love this era of DC comics for their artistic choices. Might need to check this mini-series out.

When a bunch of DC books were hitting their 100th issue around the same time, DC made a big branded banner called “100 Centennial” and we got these painted fantasy style posters. While it doesn’t always work, I do like these pulpy paperback novel cover style posters.

I am sucker for Superman Blue and finding this poster in the blind lot was so exciting for me. I love this 90’s revision more than most.

Fifth week events are weird and this little discussed one is no different. The art direction on this poster stands out. It’s also messed up that DC’s big female led push had THREE of the one-shots be co-branded by their male counter part. At least you can make the case that The Mist isn’t a known name and including Starman makes sense. Yet, Lois Lane and Batgirl are plenty strong enough to stand on their own.

____________
[1]
Computed powder diffraction line list of Li2LaScTl4 for CuKα, from a GGA-PBE-relaxed structure.
Kinematic intensities with the Lorentz-polarization factor, no thermal factor.

Cell and atoms:
Lattice parameters (Å, degrees): 9.8255 9.8255 9.8255 29.13 29.13 29.13
Atoms (fractional coordinates):
Li  0.2370  0.2370  0.2370
Li  0.7630  0.7630  0.7630
La  0.0000  0.0000  0.0000
Sc  0.5000  0.5000  0.5000
Tl  0.1240  0.1240  0.1240
Tl  0.3917  0.3917  0.3917
Tl  0.6083  0.6083  0.6083
Tl  0.8760  0.8760  0.8760

Most intense lines, 10° ≤ 2θ ≤ 90°, in order of rising 2θ:
2θ = 21.70°, rel. 26; 2θ = 24.33°, rel. 92; 2θ = 30.47°, rel. 18; 2θ = 32.91°, rel. 97; 2θ = 36.36°, rel. 100; 2θ = 38.22°, rel. 30; 2θ = 44.23°, rel. 20; 2θ = 49.85°, rel. 31; 2θ = 63.25°, rel. 30; 2θ = 65.42°, rel. 18

=====

[2]
Computed powder diffraction line list of LiLa3Se4 for CuKα, from a GGA-PBE-relaxed structure.
Kinematic intensities with the Lorentz-polarization factor, no thermal factor.

Cell and atoms:
Lattice parameters (Å, degrees): 8.5128 12.0643 4.2803 90.00 90.00 90.00
Atoms (fractional coordinates):
Li  0.0000  0.0000  0.0000
Li  0.5000  0.5000  0.0000
La  0.0000  0.5000  0.0000
La  0.2500  0.2500  0.5000
La  0.2500  0.7500  0.5000
La  0.5000  0.0000  0.0000
La  0.7500  0.2500  0.5000
La  0.7500  0.7500  0.5000
Se  0.0000  0.2432  0.0000
Se  0.0000  0.7568  0.0000
Se  0.2410  0.0000  0.5000
Se  0.2590  0.5000  0.5000
Se  0.5000  0.2568  0.0000
Se  0.5000  0.7432  0.0000
Se  0.7410  0.5000  0.5000
Se  0.7590  0.0000  0.5000

Most intense lines, 10° ≤ 2θ ≤ 90°, in order of rising 2θ:
2θ = 12.73°, rel. 12; 2θ = 29.60°, rel. 100; 2θ = 42.23°, rel. 13; 2θ = 42.37°, rel. 49; 2θ = 42.48°, rel. 12; 2θ = 52.42°, rel. 13; 2θ = 52.63°, rel. 13; 2θ = 61.46°, rel. 12; 2θ = 69.69°, rel. 22; 2θ = 77.63°, rel. 12

=====

[3]
Computed powder diffraction line list of LiLa4Se5 for CuKα, from a GGA-PBE-relaxed structure.
Kinematic intensities with the Lorentz-polarization factor, no thermal factor.

Cell and atoms:
Lattice parameters (Å, degrees): 7.4023 7.4023 7.4023 99.65 99.65 131.67
Atoms (fractional coordinates):
Li  0.0000  0.0000  0.0000
La  0.1680  0.5673  0.7989
La  0.3691  0.1680  0.6007
La  0.5673  0.7684  0.3993
La  0.7684  0.3691  0.2011
Se  0.0645  0.2575  0.3855
Se  0.2575  0.8720  0.1930
Se  0.4615  0.4615  0.0000
Se  0.6790  0.0645  0.8070
Se  0.8720  0.6790  0.6145

Most intense lines, 10° ≤ 2θ ≤ 90°, in order of rising 2θ:
2θ = 17.33°, rel. 8; 2θ = 25.51°, rel. 10; 2θ = 29.54°, rel. 100; 2θ = 42.27°, rel. 75; 2θ = 52.41°, rel. 26; 2θ = 61.39°, rel. 8; 2θ = 69.39°, rel. 11; 2θ = 69.58°, rel. 21; 2θ = 77.19°, rel. 8; 2θ = 77.35°, rel. 16

=====

[4]
Computed powder diffraction line list of LiLa6Se8 for CuKα, from a GGA-PBE-relaxed structure.
Kinematic intensities with the Lorentz-polarization factor, no thermal factor.

Cell and atoms:
Lattice parameters (Å, degrees): 7.9614 7.9614 7.9614 68.04 68.04 68.04
Atoms (fractional coordinates):
____________

DC’s first attempt to revisit the world of Kingdom Come. While I’ve never read The Kingdom, I do love the visuals of the poster.

I have been itching to do a big dive on the justice Society and with the new series dropping next week, this poster feels oddly fitting. Such a clean look.

This is for Superman Y2K which helps kick start the Our Worlds at War storyline that I love. I am a sucker for Ed McGuiness Superman art, too.

These records of crystals were left in the text by mistake
~~~
The following is a theoretical X-ray powder pattern of Ta4TiS8. It was derived from a cell relaxed with PBE, using Cu Kα (weighted mean of Kα1 and Kα2).
Neutral-atom scattering factors, no anomalous dispersion.

Structure:
```
Ta4TiS8
1.0
3.3931 1.9590 5.9255
-3.3931 1.9590 5.9255
0.0000 -3.9180 5.9255
Ta Ti S
4 1 8
direct
0.0000 0.0000 0.0000 Ta
0.0000 0.5000 0.5000 Ta
0.5000 0.0000 0.5000 Ta
0.5000 0.5000 0.0000 Ta
0.5000 0.5000 0.5000 Ti
0.2378 0.7495 0.7495 S
0.2482 0.2482 0.2482 S
0.2505 0.2505 0.7622 S
0.2505 0.7622 0.2505 S
0.7495 0.2378 0.7495 S
0.7495 0.7495 0.2378 S
0.7518 0.7518 0.7518 S
0.7622 0.2505 0.2505 S
```

The 6 most intense peaks (2θ = 10–90°), in order of rising 2θ:
d_spacing  2θ/deg  I/Imax
5.925  14.95  100.0
2.899  30.84  58.7
2.790  32.08  28.6
2.451  36.66  85.8
2.265  39.80  32.0
1.772  51.57  31.3

=====

1.
# Ho2Lu3Hg3
Calculated powder diffractogram, copper Kα. Input: a structure optimized by DFT (GGA-PBE).
Kinematic intensities with the Lorentz-polarization factor, no thermal factor.

Crystal structure
abc: 6.5374 5.3305 6.5522
angles: 90.00 116.46 90.00
Space group Pm (No. 6)
Symmetry-distinct sites (fractional):
Ho: 0.0000 0.0000 0.0000 (multiplicity 1)
Ho: 0.2934 0.5000 0.6918 (multiplicity 1)
Lu: 0.4932 0.0000 0.0117 (multiplicity 1)
Lu: 0.5047 0.0000 0.5040 (multiplicity 1)
Lu: 0.8109 0.5000 0.2142 (multiplicity 1)
Hg: 0.3177 0.5000 0.1894 (multiplicity 1)
Hg: 0.7992 0.5000 0.6989 (multiplicity 1)
Hg: 0.9970 0.0000 0.5013 (multiplicity 1)

Top 12 peaks for 2θ from 15° to 90°, in order of rising 2θ:
d (Å)	Rel. int.
2.929	9.8
2.782	20.3
2.665	31.8
2.567	100.0
2.466	21.4
1.971	6.5
1.925	14.1
1.723	8.6
1.519	20.3
1.447	9.8
1.394	6.5
1.346	7.1

---

2.
# RbSmSO
Calculated powder diffractogram, copper Kα. Input: a structure optimized by DFT (GGA-PBE).
Kinematic intensities with the Lorentz-polarization factor, no thermal factor.

Crystal structure
abc: 7.8726 7.5466 6.6723
angles: 90.00 104.34 90.00
Space group P2_1/c (No. 14)
Symmetry-distinct sites (fractional):
Rb: 0.0812 0.2439 0.0101 (multiplicity 4)
Sm: 0.4736 0.6270 0.2705 (multiplicity 4)
S: 0.2570 0.5910 0.8473 (multiplicity 4)
O: 0.3956 0.1468 0.8795 (multiplicity 4)

Top 12 peaks for 2θ from 15° to 90°, in order of rising 2θ:
d (Å)	Rel. int.
3.814	79.5
3.404	44.7
3.282	65.2
3.259	52.5
3.142	100.0
2.870	37.1
2.742	90.8
2.646	64.8
2.337	44.5
2.194	34.5
1.832	48.1
1.629	31.8

---

3.
# Be22Mo
Calculated powder diffractogram, copper Kα. Input: a structure optimized by DFT (GGA-PBE).
Kinematic intensities with the Lorentz-polarization factor, no thermal factor.

Crystal structure
abc: 11.5667 11.5667 11.5667
angles: 90.00 90.00 90.00
Space group Fd-3m (No. 227, origin choice 2)
Symmetry-distinct sites (fractional):
Be: 0.0000 0.0000 0.0000 (multiplicity 16)
Be: 0.0000 0.0000 0.5000 (multiplicity 16)
Be: 0.0100 0.3750 0.3750 (multiplicity 48)
Be: 0.0598 0.0598 0.8240 (multiplicity 96)
Mo: 0.1250 0.1250 0.6250 (multiplicity 8)
~~~

Another Fifth week event promo to close it out with Tangent Comics. This art direction of Tangent comics was so sleek. The conceit of it being an attempt to do to modern DC Comics what Silver-age DC Comics did with the Golden-Age comics was a novel one. Think about how Barry Allen Flash is different from Jay Garrick. They have attempted to bring this universe back a few times but never gets over. Shame because it’s such a really neat concept.
Overall, I am glad to find these comic book ephemeral posters. They serve as a time capsule to years gone by and reminds of what comics are out there.